GE matrix, strength/attractiveness matrix, strategy, marketing models
Teaching Notes
Overview: In this set of activities, students download a free Excel template to run the GE matrix, in order to understand its construction and how it works. They can also use the template to assist them in with various marketing reports and/or assignments. The aim of using the GE matrix Excel template is to enable students to have a very strong understanding of the underlying calculations, purpose and use of this strategy-guiding matrix.
Teaching Level: Intermediate – students need to be familiar with the top-level design of the GE matrix and have a general understanding of what it is designed to do in terms of strategy selection. However, some introductory information on the GE matrix is provided in the student discussion activity below.
Please note that students need access to Excel or other suitable spreadsheet software.
No Excel? If your students do not have access to Excel, then you could print off the rating factors from the template and get them to score it manually on paper.
Suggested Structure: Students will need to download the free GE matrix template and initially plug in some data in order to get confidence with using the template – please note it is quite easy to use, even with limited Excel skills. Then there are two potential activities that you can allocate to students, plus optional discussion questions.
Approximate Timing: Probably would need to allow 30-60 minutes for students to download the template, get familiar with the template, and then undertake one of the activities. If you plan to use both activities and the discussion questions, allow around 90 minutes.
Review the activity below or download the PDF student worksheet
- Student Worksheet: GE-McKinsey Multi-Factor Excel Template
- Instructor Solutions (Members Only): GE-McKinsey Multi-Factor Excel Template = Solutions
- Download the free GE matrix Excel template here (please also provide template or link to students): free_download_attractiveness_strength_matrix_2020
Instructional Video on How to Use the Template
# Molecular data from another source follow
~~~
<a>
Formula: C5H12O3
Source: the Open Molecules 2025 dataset
Level of theory: wB97M-V/def2-TZVPD

Last column: Löwdin charge in e.
Cartesian coordinates (Å):
C (3.0628, 0.4569, -0.6754)  0.031
C (1.9429, 0.9955, -1.2769)  -0.113
C (0.6186, 0.2356, -1.2989)  -0.085
C (-0.3476, -0.0265, -0.4594)  -0.381
C (-1.5268, -0.9163, -0.6223)  -0.034
O (-0.4775, 0.6394, 0.7678)  -0.008
H (3.9922, 0.7781, -1.0083)  0.029
H (3.0424, -0.3907, -0.2164)  -0.012
H (1.8899, 2.0767, -1.6034)  0.111
H (0.6602, -0.2723, -2.1809)  0.073
H (-1.6204, -1.5229, -1.5428)  0.091
H (-2.3937, -0.3161, -0.8866)  0.082
H (-1.7283, -1.4706, 0.3059)  0.088
H (0.3682, 0.9716, 1.1863)  0.130
O (-2.2762, 3.5560, 0.5777)  -0.104
H (-2.8687, 3.9621, 1.2198)  0.013
H (-1.5566, 4.0464, 1.1509)  0.093
O (-0.5492, -4.1888, 2.3146)  -0.027
H (-0.2980, -3.9162, 1.4518)  0.013
H (0.0659, -4.6978, 2.7965)  0.010

**Multiplicity**: 1
**Frontier orbital gap**: 9.4 eV
**Total charge**: 0
**HOMO**: -8.8 eV

<b>
Formula: C5H12O3
Source: the Open Molecules 2025 dataset
Level of theory: wB97M-V/def2-TZVPD

Last column: Löwdin charge in e.
Cartesian coordinates (Å):
O (0.1999, 2.9475, 0.3289)  0.054
C (-0.5349, 2.5232, 1.1812)  -0.255
C (-1.3929, 1.2977, 0.9577)  -0.162
C (-0.8119, -0.1274, 1.0924)  -0.194
C (-0.4646, -0.9085, -0.2152)  -0.189
C (0.7459, -0.2496, -0.8513)  -0.245
O (1.9876, -0.8798, -0.5135)  -0.066
H (-0.6695, 3.0056, 2.1661)  0.121
H (-2.2063, 1.3674, 1.6783)  0.102
H (-1.8677, 1.3586, -0.0197)  0.119
H (0.1068, 0.0194, 1.6593)  0.114
H (-1.4926, -0.7406, 1.6786)  0.105
H (-0.3969, -1.8631, 0.2837)  0.093
H (-1.3580, -0.9171, -0.8392)  0.119
H (0.7431, -0.3381, -1.9406)  0.117
H (0.7941, 0.8118, -0.6021)  0.100
H (1.9031, -1.2948, 0.3507)  0.080
O (0.2564, -3.5073, -1.7226)  -0.043
H (-0.2459, -3.5804, -0.9119)  0.020
H (0.2743, -2.5964, -2.0132)  0.009

**Multiplicity**: 1
**Frontier orbital gap**: 10.6 eV
**Total charge**: 0
**HOMO**: -10.1 eV

<c>
Formula: C5H12O3
Source: the Open Molecules 2025 dataset
Level of theory: wB97M-V/def2-TZVPD

Last column: Löwdin charge in e.
Cartesian coordinates (Å):
C (-1.8413, 1.2661, -1.5326)  -0.089
C (-0.8564, 0.8706, -0.4723)  -0.198
C (-0.5254, -0.3937, -0.0602)  -0.170
C (0.7673, -0.7479, 0.4894)  -0.132
C (1.0308, -1.8702, 1.1739)  -0.201
O (2.0758, -2.2253, 1.9416)  0.035
H (-1.7135, 2.3350, -1.6984)  0.072
H (-1.8002, 0.7318, -2.4794)  0.077
H (-2.8660, 1.1703, -1.1404)  0.080
H (-0.3294, 1.6610, 0.0557)  0.107
H (-1.4418, -0.9837, -0.1971)  0.129
H (1.4135, 0.1048, 0.7160)  0.132
H (0.2177, -2.5866, 1.2697)  0.126
H (2.9082, -1.9564, 1.5381)  0.113
O (2.1697, 0.6943, -2.1082)  -0.065
H (1.5300, 0.1572, -1.6146)  -0.010
H (2.8065, 0.0407, -2.4214)  0.036
O (-1.0675, 0.7762, 2.5711)  -0.070
H (-1.2318, 1.1017, 1.6743)  -0.009
H (-1.2465, -0.1458, 2.2948)  0.036

**Multiplicity**: 1
**Frontier orbital gap**: 8.8 eV
**Total charge**: 0
**HOMO**: -8.3 eV

<d>
Formula: C5H12O3
Source: the Open Molecules 2025 dataset
~~~
# The text goes on
The following video demonstrates how to use the template to generate the GE matrix – it would be helpful to show (or provide) this video to students.
Student Information
Introduction to the GE Matrix
You may be already familiar with the BCG matrix, with its four quadrants of dogs, stars, question marks, and cash cows. The GE matrix is a conceptually similar model, with a similar intent of helping to manage a business portfolio.
The GE matrix is a nine-box model that uses numerical inputs to assess different business strategic unit’s (SBU’s) strengths against the attractiveness of their potential market opportunities.
The concept is quite similar to what we do when we combine strengths with opportunities in a SWOT analysis as well, where we often try to match strengths to opportunities. The overall intent is to ensure that firms concentrate on business opportunities where they have an advantage, rather than pursuing all opportunities.

Please Note Different Terminology
For clarity purposes, it is important to note that the GE matrix sometimes goes by different names, including:
- GE-McKinsey matrix/model
- General Electric matrix/model
- Business strength/industry attractiveness matrix/model
Download the GE Matrix template
Your first step is to download the GE matrix template that is designed for Excel, or for other similar spreadsheet software programs.
Don’t worry if you are not that familiar with Excel, as the template is designed with the beginner Excel user in mind and is simple to use.
Your teacher will give you access to the template, or you can download it at…
Or simple search on Google for “GE matrix excel template” and the above page should be listed at the top of the search results.
Using the GE Matrix template
**Between two parts of the page: quantum chemistry results**
-- begin --
# 1
134
Properties=species:S:1:pos:R:3 method="wB97M-V/def2-TZVPD" total_charge=+1 total_energy_ev=-140474.5089 gap_ev="7.41 / 4.30" spin_multiplicity=5 homo_ev="-9.315 / -9.385"
Co 0.45642 0.27991 0.31692
C -1.89760 2.05139 -1.46657
O -1.09205 1.77941 -0.32524
C -0.98546 2.88095 0.52649
C -1.88891 3.01966 1.58093
C -2.84686 1.93739 2.03813
C -3.45644 0.97152 1.05232
C -4.75779 1.29263 0.67403
C -5.52739 0.51699 -0.17226
C -4.91960 -0.60444 -0.72915
C -3.63177 -0.97255 -0.38376
C -2.97327 -2.16789 -1.03644
C -2.27500 -1.72802 -2.30559
C -3.03030 -1.66562 -3.47038
C -2.50193 -1.25580 -4.68534
C -1.18179 -0.82083 -4.68603
C -0.38803 -0.86551 -3.55020
C 1.03245 -0.35202 -3.64078
C 1.03725 1.14331 -3.44207
C 0.89207 2.02844 -4.49088
C 0.86402 3.41221 -4.31075
C 0.93698 3.88674 -2.99947
C 1.08719 3.04567 -1.92144
C 1.25280 3.58132 -0.52858
C 0.03093 3.82054 0.33239
C 0.02784 4.97052 1.10791
C -0.91346 5.19037 2.10111
C -1.82714 4.17452 2.35248
C -0.92899 6.46562 2.92454
C 0.08428 7.50181 2.42384
C -0.58966 6.11938 4.38147
C -2.32530 7.09589 2.83077
C 1.17627 1.63938 -2.11629
O 1.38845 0.84438 -1.11988
C 0.80955 4.41062 -5.45584
C 0.71721 3.72077 -6.81839
C -0.41889 5.32347 -5.30588
C 2.09261 5.26026 -5.42706
C -0.92882 -1.35628 -2.35423
O -0.10305 -1.49567 -1.22838
C 0.56878 -2.75001 -1.19215
C -3.29846 -1.27060 -5.98201
C -2.57814 -2.16925 -6.99893
C -4.71799 -1.81273 -5.78984
C -3.39886 0.16308 -6.52326
C -2.91040 -0.21273 0.55425
O -1.63556 -0.74347 0.77077
C -6.96857 0.87688 -0.48556
C -7.85975 -0.33155 -0.16927
C -7.46945 2.06695 0.34123
C -7.07620 1.24592 -1.97038
H -2.92014 2.28201 -1.15388
H -1.90334 1.15097 -2.07662
H -1.48938 2.88691 -2.04270
H -3.67547 2.44124 2.54308
H -2.32775 1.37845 2.81181
H -5.16238 2.20634 1.07658
H -5.45590 -1.21793 -1.43724
H -3.73559 -2.90657 -1.28953
H -2.26072 -2.61789 -0.34725
H -4.05879 -1.97730 -3.41092
H -0.73862 -0.45626 -5.60035
H 1.43702 -0.60049 -4.62376
H 1.65229 -0.80030 -2.86434
H 0.81846 1.62167 -5.48600
H 0.88608 4.95021 -2.81685
H 1.80558 4.52102 -0.59057
H 1.86543 2.85326 0.02131
H 0.79385 5.70374 0.91964
H -2.53216 4.27998 3.16222
H 1.10930 7.15808 2.55391
H -0.03129 8.42197 2.99290
H -0.08428 7.73499 1.37445
H 0.37256 5.61082 4.43328
H -1.34178 5.46932 4.82087
H -0.53077 7.03207 4.97000
H -2.56446 7.30772 1.79019
H -2.35507 8.02855 3.38899
H -3.08959 6.43652 3.23115
H -0.19075 3.12520 -6.88521
H 1.58205 3.08506 -6.99203
H 0.68862 4.46630 -7.61003
H -1.33053 4.72916 -5.28432
H -0.47217 6.00424 -6.15344
H -0.37611 5.91976 -4.39843
H 2.96593 4.62507 -5.56072
H 2.19786 5.79216 -4.48505
H 2.07528 5.99398 -6.23046
H -0.12439 -3.56459 -0.95277
H 1.33566 -2.67679 -0.42126
H 1.04123 -2.97415 -2.15249
H -2.50144 -3.18490 -6.61642
H -1.57455 -1.81123 -7.20992
H -3.13114 -2.19789 -7.93553
H -4.69841 -2.83217 -5.41119
H -5.24122 -1.82163 -6.74386
H -5.28474 -1.18454 -5.10626
H -2.41761 0.57248 -6.74819
H -3.87693 0.80664 -5.78700
H -3.99358 0.17971 -7.43439
H -7.75314 -0.61189 0.87698
-- stop --
When you download and open the template, there are two main boxes that you need to complete – one for business strength and the other for market attractiveness, as shown below.
You only need to fill in the blue cells with your data of importance weightings (which must add up to 100%) and your scores of 1 to 10 for each of the portfolios. You change the names of the portfolios – in this example they are listed as different types of retailers.
The key factors already provided, however if you do not think they are important, you can set them to for their importance weighting. And there is also an opportunity to add additional factors which you consider important into your matrix calculation.
Initially, you want to plug in some numbers and make sure that your GE matrix is being produced and you have an understanding of how to use the template. It should only take a few minutes for you to get comfortable with using it.
Student Activities
Here are two activities that you may want to undertake, your instructor will guide you in this regard.
1 = Build your Own Scoring Model for a Conglomerate Firm
In your group (or across your class), select a company that has multiple businesses (SBU’s) in its operation – these types of firms are known as conglomerates. Ideally your group/class should select a conglomerate that is commonly known and has easily understandable strategic business units – or a conglomerate which can be quickly researched.
For the conglomerate that you have selected, you will need to build your own scoring model for the GE matrix. You can do this by either using the pre-set options for business strengths and market attractiveness built into the template, or by adding a few of your own rating factors (quite easy to do in the matrix).
This will mean that the actual design and construction of the overall scoring model will be determined by your group. There are no wrong or right answers here – you are basing it on your understanding of what makes a market attractive and what gives a business strength.
At the end of this initial exercise, some groups may be asked to share their design of their scoring model and why they have included various key factors and how they scored them in terms of importance weightings.
2 = Assess the Competitiveness of an Industry
Another potential use of the GE matrix is to plot various direct competitors within an industry. For this exercise, you will probably end up with distinct differences in business strength, but with market attractiveness would be relatively similar because they operate in a similar market.
Note: However, some differences in market attractiveness would still be expected, as these competing firms will define their market differently. For example, McDonald’s may perceive themselves as having a broader market and competing even against restaurants and cafés, whereas KFC probably perceive their market as traditional fast food.
Student Discussion Questions
- If you are using the GE matrix within a firm, how often would you change the key factors and importance weightings in the model – frequently or rarely? Why?
Here the article breaks off for molecular data
+++
1.
{
  "formula": "C2FIO5S",
  "method": "ωB97M-V/def2-TZVPD",
  "charge": -2,
  "homo_energy_ev": -1.15,
  "relative_energy_kcal_mol": 0.0,
  "symbols": ["C", "C", "O", "O", "O", "O", "O", "F", "S", "I"],
  "xyz": [[0.283055, 1.451368, 0.338713], [-0.373706, 0.293114, -0.440662], [-0.346403, 2.123919, 1.147111], [0.489270, -0.990637, 1.599800], [1.391965, 1.638161, -0.123325], [-0.661609, -2.335819, -0.095430], [1.566264, -1.417243, -0.613530], [-0.186651, 0.316055, -1.817017], [0.294262, -1.226830, 0.194641], [-2.456447, 0.147911, -0.190298]],
  "atomic_forces_ev_per_a": [[-0.548, 1.222, -1.060], [-0.568, -0.434, -0.525], [-1.082, 0.074, 1.118], [-0.037, 0.295, 0.786], [2.336, 0.301, -0.562], [0.742, 1.290, 0.312], [-2.321, 0.484, 1.685], [0.125, 0.387, 0.614], [2.718, -4.037, -2.492], [-1.364, 0.417, 0.124]],
  "lowdin_charge": [-0.8657, -0.8798, -0.0934, -0.3520, -0.0131, -0.4976, -0.4111, -0.1004, 0.3507, 0.8625]
}


2.
{
  "formula": "C24H21BrN2OSiTi",
  "method": "ωB97M-V/def2-TZVPD",
  "s2": 0.763,
  "charge": 1,
  "homo_energy_ev": [-10.59, -10.46],
  "relative_energy_kcal_mol": 6.0,
  "multiplicity": 2,
  "symbols": ["Ti", "Br", "C", "C", "C", "C", "O", "C", "C", "N", "C", "C", "C", "C", "C", "C", "C", "C", "N", "C", "C", "H", "H", "H", "H", "H", "H", "H", "H", "H", "H", "C", "Si", "C", "C", "C", "C", "C", "C", "C", "H", "H", "H", "H", "H", "H", "H", "H", "H", "H", "H"],
+++
- Outline the advantages of the GE matrix versus the BCG matrix
- Research and identify what each of the nine boxes represent – what strategic direction do they indicate?
Further Information
Here is a link to the Marketing Study Guide which discusses the Excel template in a little bit more detail.